The Heat Is On!

Phew! I was really procrastinating doing today’s long run. It was 90 degrees when I finally decided to roll out of bed, and my run was in solid 87-degree weather with a 45% humidity. The sun was out but there were clouds making for some relief, but it was still a pretty consistent hot. I put in my head, “Just log the miles,” and “Don’t worry about time.” To wit, I had some 9-minute miles in the mix. Here are my details from today’s run:

Of course, being Saturday, I listened to NPR’s On the Media for the first loop of Central Park, and I’m starting to think there’s something to the hypothesis that listening to that program really slows me down because almost as soon as it stopped, I started to go fast. Granted, this was right about the completion of mile 6, at which point I had just consumed a PowerGel, and at which point I was stopping at a water fountain. Those two factors could also have contributed to my jettison (coupled with the dance song “Girls” that had just come on) rather than the stop of talk radio, but after having a few long runs with slower first loops, the “On the Media Hypothesis” is starting to develop data toward making it the “On the Media Theory.”

<<<
Here is a relaxed CrB2Br2 crystal from Alexandria. Energies are from PBE.

Output
Uncorrected energy in eV per formula unit: -19.82
Excess energy over the best structure of this formula in the dataset in eV per atom: 0.000

Cell: 4.868 4.868 4.590 Å, 57.97 57.97 90.00°
Element x y z (fractional)
1 Br 0.750 0.250 0.500
2 Cr 0.000 0.000 0.000
3 Br 0.250 0.750 0.500
4 B 0.363 0.363 0.274
5 B 0.637 0.637 0.726


Here is a relaxed Ba3SiH crystal from Alexandria. Energies are from PBE.

Output
Uncorrected energy in eV per formula unit: -15.25
Excess energy over the best structure of this formula in the dataset in eV per atom: 0.105

Cell: 5.422 5.422 5.422 Å, 90.00 90.00 90.00°
Element x y z (fractional)
1 H 0.000 0.000 0.000
2 Ba 0.500 0.000 0.000
3 Ba 0.000 0.500 0.000
4 Ba 0.000 0.000 0.500
5 Si 0.500 0.500 0.500


Here is a relaxed RbIrCl4 crystal from Alexandria. Energies are from PBE.

Output
Uncorrected energy in eV per formula unit: -23.01

Cell: 6.281 10.210 8.838 Å, 115.11 96.10 115.55°
Element x y z (fractional)
1 Cl 0.163 0.823 0.838
2 Cl 0.419 0.307 0.391
3 Cl 0.837 0.177 0.162
4 Cl 0.326 0.486 0.162
5 Ir 0.193 0.443 0.386
6 Cl 0.674 0.514 0.838
7 Cl 0.581 0.693 0.609
8 Cl 0.972 0.584 0.391
9 Ir 0.807 0.557 0.614
10 Cl 0.028 0.416 0.609
11 Rb 0.533 0.783 0.067
12 Rb 0.467 0.217 0.933


Here is a relaxed Ac2Ga3HgPd4 crystal from Alexandria. Energies are from PBE.

Output
Uncorrected energy in eV per formula unit: -45.75
Calculated formation energy in eV per formula unit: -7.38

Cell: 4.547 4.547 10.505 Å, 90.00 90.00 90.00°
Element x y z (fractional)
1 Pd 0.000 0.000 0.000
2 Ga 0.000 0.000 0.500
3 Pd 0.500 0.000 0.650
4 Ac 0.500 0.000 0.243
5 Ga 0.000 0.500 0.110
6 Pd 0.500 0.500 0.000
7 Hg 0.500 0.500 0.500
8 Ga 0.500 0.000 0.890
9 Pd 0.000 0.500 0.350
10 Ac 0.000 0.500 0.757


Here is a relaxed Nb3HgSb crystal from Alexandria. Energies are from PBE.

Output
Uncorrected energy in eV per formula unit: -27.60
Excess energy over the best structure of this formula in the dataset in eV per atom: 0.000

Cell: 5.048 5.048 5.048 Å, 90.00 90.00 90.00°
Element x y z (fractional)
1 Nb 0.000 0.500 0.000
2 Nb 0.000 0.000 0.500
3 Hg 0.500 0.500 0.500
4 Nb 0.500 0.000 0.000
5 Sb 0.000 0.000 0.000


Here is a relaxed MoSe crystal from Alexandria. Energies are from PBE.

Output
Uncorrected energy in eV per formula unit: -14.02
Excess energy over the best structure of this formula in the dataset in eV per atom: 0.426

Cell: 6.622 5.843 8.667 Å, 90.00 90.00 90.00°
Element x y z (fractional)
1 Mo 0.154 0.516 0.821
2 Se 0.337 0.060 0.316
3 Mo 0.672 0.691 0.480
4 Se 0.387 0.469 0.602
5 Se 0.837 0.440 0.684
6 Se 0.113 0.531 0.102
7 Se 0.663 0.560 0.184
8 Mo 0.654 0.984 0.179
9 Mo 0.328 0.191 0.020
10 Mo 0.172 0.809 0.520
11 Se 0.613 0.969 0.898
12 Mo 0.846 0.016 0.679
13 Se 0.887 0.031 0.398
14 Mo 0.828 0.309 0.980
15 Mo 0.346 0.484 0.321
16 Se 0.163 0.940 0.816


Here is a relaxed PuMgNpOs crystal from Alexandria. Energies are from PBE.

Output
>>>

There’s something really great to share from today’s run: I didn’t have shin pain! It seems the pain that was prominent in the medial area of my right lower leg was diminished. A couple days ago I iced it when going to bed, and I’ve had two days of running rest because of work conflicts. No physical problems to report in today’s run other than I just was not about to put on afterburners in this heat at this time of day (3:30pm-ish). I’m also carrying 2-3 lbs. of more weight than I really want right now. I think it came as a combination of having a lot of protein from Naked Juice Protein Zone consumption plus weights, but maybe also because of caloric coconut water, which I was drinking like, um, an animal that can’t get his fix of coconut water. Today’s run I stopped frequently at water fountains, which helped me stay hydrated over the run as well as performing, though I started to get shivers toward the very end in the last mile, presumably because I was dehydrated.

I did get a bit faster in the second loop again. Part of that was desire, part of that was competitive spirit that turned on when I saw some rivals I could pick off (I picked them both off, but one overcame me bigtime), and part of that was confidence because I’d just completed one loop and was familiar with the weather.

So I got in my long run for this week! Slow, but I was seeming to recall I wasn’t big on time in June last year. I hope that was the case, but I’m trying less to care about time now and just care about logging miles. The hope is that I’ll get faster without paying too much attention to time.

And only a PowerGel before the run, other than some fat-free plain yogurt with granola, agave nectar, and cinnamon. I had that yogurt concoction after my run, too, as well as some chocolate milk and water. I’m nursing a green tea as I write this!


Tonight, for the first time ever, while running in Central Park, I hit not one, not two, not three, not even four, but FIVE swarms of insects! I have never even encountered one swarm of insects but tonight must have been something special on the Upper East Side around E. 90th St. The bugs were out, and I ran through them, and I had to bat my way through their thickness.

It was a somewhat cool, somewhat humid, 73-degree run today. Actually, it was 80% humidity but didn’t feel that bad. Apart from the five swarms, my right lower leg was of interest, and it was strong to begin with. It didn’t hurt in the beginning of today’s run as much as it did at the beginning of yesterday’s run, but inside mile 4 (or at some point after Great Hill), my leg started to hurt. I even got almost to the point of limping on it a bit, it felt so painful. It was more like a tired pain rather than a sharp pain.

I used various mental tricks to distract my attention from it and it pretty much worked. However, I couldn’t pull off a super-sprint at the end of this run. I did this run of 6.27 miles (basically a loop of Central Park) in just under 50 minutes, which is pretty paltry for me. I wonder if it’s the humidity partly. But mostly, it was the pain of my right lower leg.

It was nice to be out in the night, apart from the bugs. I felt faster than 7:51 pace suggests. At least I got in these miles after a day of work–which, by the way, I thought would last until midnight.

This morning I got in some stuff at the gym: abs, arms, pecs, quads, calves, and thighs. For that, I took Nitric Oxide Overdrive and I felt my heart pumping. So I thought, Could the ArginMax have made it feel as if I was having a heart attack in yesterday’s run? Because of that question, I skipped ArginMax today. I also didn’t have quercetin, but I did have a PowerGel. Plus, I had a light dinner before.

Painful 8 Miles, with Elizabeth

I ran with Elizabeth today in muggy, cloudy weather. And the run was painful for me: My right shin, medially, was still hurting! The pain was pretty strong in the beginning of my run and it dissipated over the course of 8+ miles, though it was there throughout. It was also in my left shin in a mirrored place but it wasn’t as strong there. It was hard to go fast at all today because of the combination of heat and hurt, but in not caring about pace, I logged some good miles.

Elizabeth and I talked a lot during the run. Most of the run was pleasant, though in the beginning I felt I was going to have a heart attack! (I chose to forego the heart rate monitor for today.) It was 77, then 75 degrees, with about 70% humidity and light sprinkles at times.

There were a number of runners in the park today; I figured it had something to do with a New York Road Runners class given the number of serious, fast runners in the mix. It didn’t do much for my ego, as I started to feel pretty fat and slow, but as I explained to Elizabeth, I’ve been trying to compare my current self with a better-trained self of about September or November of last year. I ain’t in that kind of shape. Plus, I’m not that far off of shape I was in at this time last year. However, it’s been hard to get to that level because it’s been so hot.

So the pain was pretty severe. I also put on my Mizuno Wave Precision 10s for the first time, which felt a half size small. This was not a problem when running, but it felt like a problem when walking because my toes felt pushed. I’m going to see if this shoe size is tolerable for me to run in. My brother says it’s slightly lighter and closer to the ground than my prior Wave Rider 13s. I didn’t notice a difference and other than the small fit, they rode well.

ArginMax and quercetin were just before my run, and about two hours before was a 6-inch Subway sandwich which may have weighed me down a bit today. All in all, it wasn’t a great run performancewise, but I did get in the mileage, it was with great company, and I did it on a day I also had work. It’s starting to feel really nice when I can fit in work and training.

And I enjoyed a Protein Zone Naked Juice after the run. All 32 fl. oz. Don’t worry: I had 4 Beano just before chugging it.